Next, restate the whole of the lines below without additions.

- - -
Entry 1:
A relaxed structure of Pm2NdSm3As6, computed with GGA-PBE.

Structure (POSCAR):
```
Pm2NdSm3As6
1.0
9.222 -2.117 0.000
9.222 2.117 0.000
-1.942 0.000 8.237
Pm Nd Sm As
2 1 3 6
Direct
0.167 0.167 0.334
0.833 0.833 0.666
0.500 0.500 0.000
0.167 0.167 0.833
0.500 0.500 0.500
0.833 0.833 0.167
0.000 0.000 0.252
0.000 0.000 0.748
0.333 0.333 0.917
0.334 0.334 0.416
0.666 0.666 0.584
0.667 0.667 0.083
```

* M_tot: 0.0 μB/f.u.
* density: 6.9 g/cm³
* space-group type: No. 12
* electronic total energy: -74.62 eV for the cell shown
* ΔH_f (0 K): -1524.7 meV per atom

***

Entry 2:
A relaxed structure of Pm3NdSm2As6, computed with GGA-PBE.

Structure (POSCAR):
```
Pm3NdSm2As6
1.0
9.232 -2.119 0.000
9.232 2.119 0.000
-1.944 0.000 8.246
Pm Nd Sm As
3 1 2 6
Direct
0.000 0.000 0.000
0.333 0.333 0.667
0.667 0.667 0.333
0.000 0.000 0.500
0.333 0.333 0.166
0.667 0.667 0.834
0.167 0.167 0.082
0.167 0.167 0.585
0.500 0.500 0.248
0.500 0.500 0.752
0.833 0.833 0.415
0.833 0.833 0.918
```

* M_tot: 0.0 μB/f.u.
* density: 6.8 g/cm³
* space-group type: No. 12
* electronic total energy: -74.65 eV for the cell shown
* ΔH_f (0 K): -1524.4 meV per atom

***

Entry 3:
A relaxed structure of PmNd2SmAs4, computed with GGA-PBE.

Structure (POSCAR):
```
PmNd2SmAs4
1.0
7.359 0.000 0.000
0.000 4.252 0.000
-2.451 0.000 6.939
Pm Nd Sm As
1 2 1 4
Direct
0.000 0.000 0.000
0.500 0.000 0.500
0.500 0.500 0.000
0.000 0.500 0.500
0.247 0.000 0.748
0.248 0.500 0.250
0.752 0.500 0.750
0.753 0.000 0.252
```

* M_tot: 0.0 μB/f.u.
* density: 6.8 g/cm³
* space-group type: No. 10
* electronic total energy: -49.76 eV for the cell shown
* ΔH_f (0 K): -1520.1 meV per atom

***

Entry 4:
A relaxed structure of Pm2NdSmAs4, computed with GGA-PBE.

Structure (POSCAR):
```
Pm2NdSmAs4
1.0
7.344 0.000 0.000
0.000 4.244 0.000
-2.447 0.000 6.925
Pm Nd Sm As
2 1 1 4
Direct
0.000 0.000 0.000
0.000 0.500 0.500
0.500 0.000 0.500
0.500 0.500 0.000
0.249 0.500 0.248
0.250 0.000 0.752
0.750 0.000 0.248
0.751 0.500 0.752
```

* M_tot: 0.0 μB/f.u.
* density: 6.8 g/cm³
* space-group type: No. 10
* electronic total energy: -49.78 eV for the cell shown
* ΔH_f (0 K): -1523.6 meV per atom

***

Entry 5:
A relaxed structure of Pm3Nd2SmAs6, computed with GGA-PBE.

Structure (POSCAR):
```
Pm3Nd2SmAs6
1.0
9.252 -2.124 0.000
9.252 2.124 0.000
-1.950 0.000 8.263
Pm Nd Sm As
3 2 1 6
Direct
0.000 0.000 0.000
0.333 0.333 0.666
0.667 0.667 0.334
0.334 0.334 0.167
0.666 0.666 0.833
0.000 0.000 0.500
0.166 0.166 0.084
0.166 0.166 0.582
0.499 0.499 0.749
0.501 0.501 0.251
0.834 0.834 0.418
0.834 0.834 0.916
```

* M_tot: 0.0 μB/f.u.
* density: 6.8 g/cm³
* space-group type: No. 12
* electronic total energy: -74.66 eV for the cell shown
* ΔH_f (0 K): -1521.7 meV per atom

***

Entry 6:
A relaxed structure of PmNdSm2As4, computed with GGA-PBE.

Structure (POSCAR):
```
PmNdSm2As4
1.0
7.334 0.000 0.000
0.000 4.238 0.000
-2.443 0.000 6.916
Pm Nd Sm As
1 1 2 4
Direct
0.000 0.000 0.000
0.000 0.500 0.500
0.500 0.000 0.500
0.500 0.500 0.000
0.252 0.500 0.250
0.253 0.000 0.752
0.747 0.000 0.248
0.748 0.500 0.750
```

* M_tot: 0.0 μB/f.u.
* density: 6.9 g/cm³
* space-group type: No. 10
* electronic total energy: -49.75 eV for the cell shown
* ΔH_f (0 K): -1524.0 meV per atom

***

Entry 7:
A relaxed structure of PmNd3Sm2As6, computed with GGA-PBE.

Structure (POSCAR):
```
PmNd3Sm2As6
1.0
9.255 -2.125 0.000
9.255 2.125 0.000
-1.949 0.000 8.266
Pm Nd Sm As
1 3 2 6
Direct
0.000 0.000 0.000
0.000 0.000 0.500
0.333 0.333 0.167
0.667 0.667 0.833
0.333 0.333 0.667
0.667 0.667 0.333
0.166 0.166 0.085
0.167 0.167 0.581
0.499 0.499 0.751
0.501 0.501 0.249
0.833 0.833 0.419
0.834 0.834 0.915
```

* M_tot: 0.0 μB/f.u.
* density: 6.8 g/cm³
* space-group type: No. 12
* electronic total energy: -74.62 eV for the cell shown
* ΔH_f (0 K): -1519.5 meV per atom

***

Entry 8:
A relaxed structure of SrPm2NdAs4, computed with GGA-PBE.

Structure (POSCAR):
```
SrPm2NdAs4
1.0
7.459 0.000 0.000
0.000 4.289 0.000
-2.477 0.000 7.046
- - -

Entry 1:
A relaxed structure of Pm2NdSm3As6, computed with GGA-PBE.

Structure (POSCAR):
```
Pm2NdSm3As6
1.0
9.222 -2.117 0.000
9.222 2.117 0.000
-1.942 0.000 8.237
Pm Nd Sm As
2 1 3 6
Direct
0.167 0.167 0.334
0.833 0.833 0.666
0.500 0.500 0.000
0.167 0.167 0.833
0.500 0.500 0.500
0.833 0.833 0.167
0.000 0.000 0.252
0.000 0.000 0.748
0.333 0.333 0.917
0.334 0.334 0.416
0.666 0.666 0.584
0.667 0.667 0.083
```

* M_tot: 0.0 μB/f.u.
* density: 6.9 g/cm³
* space-group type: No. 12
* electronic total energy: -74.62 eV for the cell shown
* ΔH_f (0 K): -1524.7 meV per atom

***

Entry 2:
A relaxed structure of Pm3NdSm2As6, computed with GGA-PBE.

Structure (POSCAR):
```
Pm3NdSm2As6
1.0
9.232 -2.119 0.000
9.232 2.119 0.000
-1.944 0.000 8.246
Pm Nd Sm As
3 1 2 6
Direct
0.000 0.000 0.000
0.333 0.333 0.667
0.667 0.667 0.333
0.000 0.000 0.500
0.333 0.333 0.166
0.667 0.667 0.834
0.167 0.167 0.082
0.167 0.167 0.585
0.500 0.500 0.248
0.500 0.500 0.752
0.833 0.833 0.415
0.833 0.833 0.918
```

* M_tot: 0.0 μB/f.u.
* density: 6.8 g/cm³
* space-group type: No. 12
* electronic total energy: -74.65 eV for the cell shown
* ΔH_f (0 K): -1524.4 meV per atom

***

Entry 3:
A relaxed structure of PmNd2SmAs4, computed with GGA-PBE.

Structure (POSCAR):
```
PmNd2SmAs4
1.0
7.359 0.000 0.000
0.000 4.252 0.000
-2.451 0.000 6.939
Pm Nd Sm As
1 2 1 4
Direct
0.000 0.000 0.000
0.500 0.000 0.500
0.500 0.500 0.000
0.000 0.500 0.500
0.247 0.000 0.748
0.248 0.500 0.250
0.752 0.500 0.750
0.753 0.000 0.252
```

* M_tot: 0.0 μB/f.u.
* density: 6.8 g/cm³
* space-group type: No. 10
* electronic total energy: -49.76 eV for the cell shown
* ΔH_f (0 K): -1520.1 meV per atom

***

Entry 4:
A relaxed structure of Pm2NdSmAs4, computed with GGA-PBE.

Structure (POSCAR):
```
Pm2NdSmAs4
1.0
7.344 0.000 0.000
0.000 4.244 0.000
-2.447 0.000 6.925
Pm Nd Sm As
2 1 1 4
Direct
0.000 0.000 0.000
0.000 0.500 0.500
0.500 0.000 0.500
0.500 0.500 0.000
0.249 0.500 0.248
0.250 0.000 0.752
0.750 0.000 0.248
0.751 0.500 0.752
```

* M_tot: 0.0 μB/f.u.
* density: 6.8 g/cm³
* space-group type: No. 10
* electronic total energy: -49.78 eV for the cell shown
* ΔH_f (0 K): -1523.6 meV per atom

***

Entry 5:
A relaxed structure of Pm3Nd2SmAs6, computed with GGA-PBE.

Structure (POSCAR):
```
Pm3Nd2SmAs6
1.0
9.252 -2.124 0.000
9.252 2.124 0.000
-1.950 0.000 8.263
Pm Nd Sm As
3 2 1 6
Direct
0.000 0.000 0.000
0.333 0.333 0.666
0.667 0.667 0.334
0.334 0.334 0.167
0.666 0.666 0.833
0.000 0.000 0.500
0.166 0.166 0.084
0.166 0.166 0.582
0.499 0.499 0.749
0.501 0.501 0.251
0.834 0.834 0.418
0.834 0.834 0.916
```

* M_tot: 0.0 μB/f.u.
* density: 6.8 g/cm³
* space-group type: No. 12
* electronic total energy: -74.66 eV for the cell shown
* ΔH_f (0 K): -1521.7 meV per atom

***

Entry 6:
A relaxed structure of PmNdSm2As4, computed with GGA-PBE.

Structure (POSCAR):
```
PmNdSm2As4
1.0
7.334 0.000 0.000
0.000 4.238 0.000
-2.443 0.000 6.916
Pm Nd Sm As
1 1 2 4
Direct
0.000 0.000 0.000
0.000 0.500 0.500
0.500 0.000 0.500
0.500 0.500 0.000
0.252 0.500 0.250
0.253 0.000 0.752
0.747 0.000 0.248
0.748 0.500 0.750
```

* M_tot: 0.0 μB/f.u.
* density: 6.9 g/cm³
* space-group type: No. 10
* electronic total energy: -49.75 eV for the cell shown
* ΔH_f (0 K): -1524.0 meV per atom

***

Entry 7:
A relaxed structure of PmNd3Sm2As6, computed with GGA-PBE.

Structure (POSCAR):
```
PmNd3Sm2As6
1.0
9.255 -2.125 0.000
9.255 2.125 0.000
-1.949 0.000 8.266
Pm Nd Sm As
1 3 2 6
Direct
0.000 0.000 0.000
0.000 0.000 0.500
0.333 0.333 0.167
0.667 0.667 0.833
0.333 0.333 0.667
0.667 0.667 0.333
0.166 0.166 0.085
0.167 0.167 0.581
0.499 0.499 0.751
0.501 0.501 0.249
0.833 0.833 0.419
0.834 0.834 0.915
```

* M_tot: 0.0 μB/f.u.
* density: 6.8 g/cm³
* space-group type: No. 12
* electronic total energy: -74.62 eV for the cell shown
* ΔH_f (0 K): -1519.5 meV per atom

***

Entry 8:
A relaxed structure of SrPm2NdAs4, computed with GGA-PBE.

Structure (POSCAR):
```
SrPm2NdAs4
1.0
7.459 0.000 0.000
0.000 4.289 0.000
-2.477 0.000 7.046